• Assignment:
Your job: filter the material further down: keep the lines with the word "or".

• Entries:
<<<
10 unconnected molecules or ions with the total composition C27H72F6O27PS9. Source: the OMol25 dataset; level of theory: the ωB97M-V functional and the def2-TZVPD basis.

Values from the calculation:
Gap between HOMO and LUMO (alpha / beta) ... 0.3134 / 0.0624 Eh
2S+1 ... 2
Total charge ... 0
M ... 1262.41 Da
<S²> ... 0.755

XYZ file:
```
142
Properties=species:S:1:pos:R:3:forces:R:3:lowdin_charge:R:1
H 4.284 1.775 -3.163 -0.17 -0.49 -0.30 0.135
S 4.396 -5.848 2.613 0.50 1.56 -0.14 0.660
C -7.862 -1.158 0.099 0.67 0.15 -1.38 -0.028
S -7.083 0.484 -0.406 -2.75 2.82 2.97 0.815
F -0.416 0.861 1.253 -0.19 -1.50 0.79 -0.170
H -2.134 -1.133 4.544 -0.05 0.30 -0.41 0.107
C 2.231 2.548 -2.916 0.37 0.02 1.45 -0.058
H 1.696 0.615 -7.015 0.32 0.16 -0.24 0.044
H -0.990 5.860 -5.036 0.18 -0.50 0.26 0.064
O 4.753 -6.904 3.510 -0.94 0.32 -0.12 -0.280
C -4.732 -0.826 -0.975 -1.68 0.43 -1.17 -0.166
H 0.734 -5.452 -0.662 -0.07 0.13 0.00 0.104
O -0.539 6.320 0.073 0.01 -1.76 -1.33 -0.297
H -1.967 1.386 -7.462 -0.01 -0.31 0.11 0.114
H -4.233 1.472 2.561 0.47 0.14 -0.10 0.077
C 1.755 3.448 2.615 -0.44 0.40 0.57 -0.066
H -3.614 -4.634 -0.893 0.36 0.48 -0.41 0.046
H -2.035 3.904 -0.637 0.19 0.24 0.13 0.082
S 4.046 0.408 4.043 -2.19 -0.65 0.53 0.698
C -3.606 0.585 2.466 -0.94 -0.82 0.98 -0.074
H 2.113 -0.292 2.704 0.17 0.27 0.07 0.043
F 0.283 -0.951 -1.383 -0.98 0.48 0.28 -0.176
H 1.401 2.775 -3.586 -0.15 -0.44 0.19 0.072
C -2.896 1.246 -6.910 -0.96 0.61 -1.52 -0.280
C -4.224 -1.738 -1.967 0.58 -1.51 -2.27 -0.023
O -5.764 -1.073 2.689 1.69 0.02 0.10 -0.319
O 1.404 4.836 -0.124 -2.65 0.10 -1.97 -0.309
H 0.150 7.001 -4.416 -0.09 0.25 0.37 0.082
O -1.468 2.879 -3.746 -0.33 -1.62 -2.30 -0.282
H 6.901 0.431 5.386 0.64 0.01 0.53 0.083
O 0.078 5.446 -2.241 1.61 -0.31 1.46 -0.268
H -1.484 6.764 -2.156 0.16 0.22 -0.08 0.109
H 8.154 -0.750 4.739 0.22 0.39 0.46 0.090
H 5.181 -3.592 2.410 0.38 -0.06 -0.26 0.051
O -1.050 -6.511 0.403 0.39 -0.78 -0.93 -0.291
O -8.048 1.272 -1.221 3.25 -2.31 1.93 -0.249
H -5.003 -2.387 -2.368 -0.31 -0.31 0.42 0.116
S 0.042 5.162 -0.611 1.63 1.79 0.59 0.676
H -3.911 -1.286 -2.909 0.18 0.65 0.07 0.092
C -1.642 0.228 -4.013 0.33 0.66 -0.52 -0.097
O -3.352 -1.917 2.994 -1.40 0.63 -0.30 -0.306
H -1.290 -1.707 3.017 -0.18 0.39 -0.01 0.099
H -2.626 0.336 -3.556 0.27 -0.21 0.24 0.043
O -0.912 -5.335 -1.909 -2.17 -2.76 1.22 -0.257
H -8.377 -1.525 -0.788 -0.04 0.19 -0.03 0.078
F 0.934 1.106 -0.434 -0.58 -1.04 -0.55 -0.182
C 6.281 -0.869 3.925 0.48 -0.74 -0.32 -0.309
S 0.365 3.799 3.868 -1.39 -0.61 -2.80 0.729
O 4.388 -6.092 1.186 -0.12 0.41 1.21 -0.297
H 2.959 6.597 6.155 -0.91 -0.11 -0.23 0.076
H -0.667 3.446 0.479 -0.58 -0.86 0.04 0.043
C 2.494 -4.061 2.220 -1.64 0.01 0.05 -0.254
O 1.071 4.925 4.783 -3.20 1.37 -5.94 -0.239
H 1.468 2.761 1.819 -0.66 0.06 0.21 0.050
O 4.340 -0.673 -5.022 -0.65 0.40 -0.41 -0.299
C 5.495 -4.409 3.061 -1.56 -0.37 -0.40 -0.106
H -2.097 -3.933 -0.076 -0.35 0.00 0.25 0.049
H -4.046 1.836 -8.717 -0.24 -0.44 0.14 0.078
H -3.378 -2.371 -1.700 -0.06 0.28 0.63 0.100
O 2.803 1.209 -4.629 0.29 -1.76 -1.64 -0.275
S -4.497 -0.758 3.343 1.77 -1.65 1.15 0.679
H 1.173 4.718 6.602 0.51 -0.84 1.05 0.126
F -1.344 0.619 -0.761 -0.18 -0.16 -0.74 -0.184
H -0.829 -0.027 -3.333 -0.14 0.46 0.28 0.057
C 2.336 -0.295 3.771 0.66 -0.09 0.19 -0.081
O 4.889 -1.007 4.329 -0.29 1.72 -1.37 -0.262
H 2.753 -3.146 2.751 0.17 0.09 -0.23 0.097
H -1.637 -0.543 -4.783 -0.21 0.23 -0.24 0.071
H 1.684 -5.523 -2.712 0.44 0.46 -0.56 0.087
C 1.192 -4.560 -2.570 -0.14 0.30 0.61 -0.043
O 0.223 2.623 4.708 -0.09 0.79 -0.63 -0.322
H 0.676 -4.203 -3.461 -0.30 -0.43 0.02 0.079
H 1.609 0.276 4.348 0.30 0.48 -0.16 0.053
H 0.018 -3.829 -0.915 0.04 0.11 0.25 0.098
H 6.685 -1.796 3.518 -0.97 -0.35 -0.40 0.103
C -2.799 -4.760 -0.181 -0.52 -1.67 -0.90 -0.108
H 2.070 1.801 -2.138 -0.79 -0.17 -0.42 0.065
H 2.370 3.453 -2.325 0.53 0.23 -0.21 0.074
C 0.267 -4.781 -1.383 0.93 1.03 -0.37 -0.322
F -1.168 -1.254 0.467 0.45 -0.01 0.18 -0.177
>>>

• Reply:
10 unconnected molecules or ions with the total composition C27H72F6O27PS9. Source: the OMol25 dataset; level of theory: the ωB97M-V functional and the def2-TZVPD basis.